**Wanted**
Next, type out the whole of the calculation results below without altering anything.

**Input**
- - -
No. 1
{"formula": "C6H11NO", "method": "wB97M-V/def2-TZVPD", "species": ["C", "N", "C", "C", "C", "C", "C", "O", "H", "H", "H", "H", "H", "H", "H", "H", "H", "H", "H"], "positions_angstrom": [[-2.8306, 0.1967, -0.6476], [-1.7892, 0.6489, -1.1752], [-0.5991, 0.8948, -0.4841], [-0.5515, 1.8188, 0.4783], [0.5752, 0.0796, -0.9408], [0.7027, -1.2670, -0.1440], [1.2569, -1.0462, 1.2423], [2.6706, -0.8806, 1.0571], [-3.7027, 0.1158, -1.2980], [-2.9553, -0.1159, 0.3909], [0.3612, 2.1671, 0.9522], [-1.4637, 2.3001, 0.8217], [1.4782, 0.6282, -0.7616], [0.4335, -0.1331, -2.0096], [-0.2572, -1.7759, -0.2086], [1.4764, -1.8178, -0.6683], [1.1189, -1.9538, 1.8380], [0.8630, -0.2080, 1.8281], [3.0974, -0.7678, 1.9226]], "atomic_forces_ev_per_a": [[-0.64, -0.09, -0.28], [0.30, 0.00, -0.38], [0.19, 0.09, 0.65], [-0.24, 0.19, 0.28], [-0.63, -0.61, 0.16], [-0.14, 1.57, -0.83], [0.54, -0.77, 0.55], [0.32, 0.32, 0.40], [-0.04, -0.11, 0.18], [0.28, 0.08, 0.17], [0.02, -0.31, -0.19], [0.08, 0.04, -0.22], [0.56, 0.36, -0.18], [0.29, 0.06, 0.26], [0.07, -0.26, 0.35], [-0.12, -0.51, -0.06], [-0.25, -0.03, 0.05], [-0.29, 0.01, -0.44], [-0.29, -0.03, -0.46]], "mulliken_charge": [-0.3351, -0.4435, 0.6656, -0.9752, -0.9797, -0.5584, -0.4092, -0.5337, 0.2757, 0.2820, 0.3516, 0.2847, 0.4066, 0.3363, 0.4104, 0.3207, 0.2935, 0.3240, 0.2839], "orbital_gap_ev": 9.7, "smiles": "C=NC(=C)CCCO", "lumo_energy_ev": 0.9168}

No. 2
{"formula": "H4N2O2P", "method": "wB97M-V/def2-TZVPD", "species": ["N", "N", "O", "O", "P", "H", "H", "H", "H"], "positions_angstrom": [[0.0357, -1.8757, 0.2774], [-0.1257, 2.1232, 0.2603], [-1.3437, 0.2040, 1.6789], [-1.5572, 0.1619, -0.9179], [-0.7557, 0.2462, 0.3244], [-0.2919, -2.0347, -0.6742], [-0.7599, -2.0880, 0.8778], [0.4039, 2.2473, -0.6006], [0.5193, 2.2131, 1.0441]], "atomic_forces_ev_per_a": [[0.17, -1.35, -0.07], [-0.72, -0.96, 0.09], [-0.75, -0.87, 1.37], [-0.92, -1.01, -1.38], [2.40, 5.12, 0.04], [-0.13, -0.26, -0.14], [-0.15, -0.44, 0.13], [0.07, -0.16, 0.12], [0.03, -0.07, -0.17]], "lowdin_spin": [0.8512, 0.2584, 0.1825, 0.2471, 0.4050, 0.0213, 0.0239, 0.0054, 0.0053], "orbital_gap_ev": [6.3, 6.8], "lumo_energy_ev": [4.9194, 2.0040], "total_charge": -1, "multiplicity": 3}

=====

The following is a quantum chemistry calculation of the molecule C4H8OS at a distorted geometry, from OMol25.

The geometry in XYZ format:
```
14
Properties=species:S:1:pos:R:3
C -0.528 1.142 0.084
C 1.000 1.326 -0.090
C 0.459 -1.399 0.275
C -0.894 -1.076 -0.359
H -1.129 2.011 -0.013
H -0.720 0.764 1.100
H 1.206 2.000 -0.980
H 1.351 1.884 0.795
H 0.694 -2.342 -0.097
H 0.470 -1.409 1.367
H -0.995 -1.606 -1.239
H -1.679 -1.270 0.344
O -1.008 0.275 -0.745
S 1.775 -0.301 -0.442
```
- - -

**Written answer**
No. 1
{"formula": "C6H11NO", "method": "wB97M-V/def2-TZVPD", "species": ["C", "N", "C", "C", "C", "C", "C", "O", "H", "H", "H", "H", "H", "H", "H", "H", "H", "H", "H"], "positions_angstrom": [[-2.8306, 0.1967, -0.6476], [-1.7892, 0.6489, -1.1752], [-0.5991, 0.8948, -0.4841], [-0.5515, 1.8188, 0.4783], [0.5752, 0.0796, -0.9408], [0.7027, -1.2670, -0.1440], [1.2569, -1.0462, 1.2423], [2.6706, -0.8806, 1.0571], [-3.7027, 0.1158, -1.2980], [-2.9553, -0.1159, 0.3909], [0.3612, 2.1671, 0.9522], [-1.4637, 2.3001, 0.8217], [1.4782, 0.6282, -0.7616], [0.4335, -0.1331, -2.0096], [-0.2572, -1.7759, -0.2086], [1.4764, -1.8178, -0.6683], [1.1189, -1.9538, 1.8380], [0.8630, -0.2080, 1.8281], [3.0974, -0.7678, 1.9226]], "atomic_forces_ev_per_a": [[-0.64, -0.09, -0.28], [0.30, 0.00, -0.38], [0.19, 0.09, 0.65], [-0.24, 0.19, 0.28], [-0.63, -0.61, 0.16], [-0.14, 1.57, -0.83], [0.54, -0.77, 0.55], [0.32, 0.32, 0.40], [-0.04, -0.11, 0.18], [0.28, 0.08, 0.17], [0.02, -0.31, -0.19], [0.08, 0.04, -0.22], [0.56, 0.36, -0.18], [0.29, 0.06, 0.26], [0.07, -0.26, 0.35], [-0.12, -0.51, -0.06], [-0.25, -0.03, 0.05], [-0.29, 0.01, -0.44], [-0.29, -0.03, -0.46]], "mulliken_charge": [-0.3351, -0.4435, 0.6656, -0.9752, -0.9797, -0.5584, -0.4092, -0.5337, 0.2757, 0.2820, 0.3516, 0.2847, 0.4066, 0.3363, 0.4104, 0.3207, 0.2935, 0.3240, 0.2839], "orbital_gap_ev": 9.7, "smiles": "C=NC(=C)CCCO", "lumo_energy_ev": 0.9168}

No. 2
{"formula": "H4N2O2P", "method": "wB97M-V/def2-TZVPD", "species": ["N", "N", "O", "O", "P", "H", "H", "H", "H"], "positions_angstrom": [[0.0357, -1.8757, 0.2774], [-0.1257, 2.1232, 0.2603], [-1.3437, 0.2040, 1.6789], [-1.5572, 0.1619, -0.9179], [-0.7557, 0.2462, 0.3244], [-0.2919, -2.0347, -0.6742], [-0.7599, -2.0880, 0.8778], [0.4039, 2.2473, -0.6006], [0.5193, 2.2131, 1.0441]], "atomic_forces_ev_per_a": [[0.17, -1.35, -0.07], [-0.72, -0.96, 0.09], [-0.75, -0.87, 1.37], [-0.92, -1.01, -1.38], [2.40, 5.12, 0.04], [-0.13, -0.26, -0.14], [-0.15, -0.44, 0.13], [0.07, -0.16, 0.12], [0.03, -0.07, -0.17]], "lowdin_spin": [0.8512, 0.2584, 0.1825, 0.2471, 0.4050, 0.0213, 0.0239, 0.0054, 0.0053], "orbital_gap_ev": [6.3, 6.8], "lumo_energy_ev": [4.9194, 2.0040], "total_charge": -1, "multiplicity": 3}

=====

The following is a quantum chemistry calculation of the molecule C4H8OS at a distorted geometry, from OMol25.

The geometry in XYZ format:
```
14
Properties=species:S:1:pos:R:3
C -0.528 1.142 0.084
C 1.000 1.326 -0.090
C 0.459 -1.399 0.275
C -0.894 -1.076 -0.359
H -1.129 2.011 -0.013
H -0.720 0.764 1.100
H 1.206 2.000 -0.980
H 1.351 1.884 0.795
H 0.694 -2.342 -0.097
H 0.470 -1.409 1.367
H -0.995 -1.606 -1.239
H -1.679 -1.270 0.344
O -1.008 0.275 -0.745
S 1.775 -0.301 -0.442
```